Your job: echo only the lines underneath with the word "Alexandria" in them.

=====
(1)
This entry pairs a crystal structure of Tb14CeTh with its computed XRD peak list. Radiation: a wavelength of 1.5418 Å. Structure: the GGA-PBE geometry in Alexandria.
Kinematic intensities with the Lorentz-polarization factor, no thermal factor.

Crystal structure
Lattice parameters (Å, degrees): 10.0646 10.0717 10.0792 90.00 90.00 90.00
Space group Cmmm (No. 65)
One atom of each set of equivalent atoms:
Tb  0.0000  0.0000  0.0000 (multiplicity 2)
Tb  0.0000  0.2490  0.2513 (multiplicity 8)
Tb  0.0000  0.5000  0.0000 (multiplicity 2)
Tb  0.2490  0.0000  0.2514 (multiplicity 8)
Tb  0.2500  0.2500  0.0000 (multiplicity 4)
Tb  0.2500  0.2500  0.5000 (multiplicity 4)
Ce  0.0000  0.5000  0.5000 (multiplicity 2)
Th  0.0000  0.0000  0.5000 (multiplicity 2)

The 8 most intense peaks (2θ = 10–80°), by angle:
2θ = 15.24°, d = 5.815 Å, intensity 1, hkl 1 1 1
2θ = 30.75°, d = 2.907 Å, intensity 100, hkl 2 2 2
2θ = 35.66°, d = 2.518 Å, intensity 51, hkl 4 0 0
2θ = 51.31°, d = 1.780 Å, intensity 36, hkl 4 4 0
2θ = 61.02°, d = 1.518 Å, intensity 43, hkl 6 2 2
2θ = 64.05°, d = 1.454 Å, intensity 12, hkl 4 4 4
2θ = 75.49°, d = 1.259 Å, intensity 4, hkl 0 8 0
2θ = 75.58°, d = 1.258 Å, intensity 2, hkl 8 0 0

---

(2)
This entry pairs a crystal structure of TbCe2Th6 with its computed XRD peak list. Radiation: a wavelength of 1.5418 Å. Structure: the GGA-PBE geometry in Alexandria.
Kinematic intensities with the Lorentz-polarization factor, no thermal factor.

Crystal structure
Lattice parameters (Å, degrees): 3.5056 3.5056 26.8400 90.00 90.00 120.00
Space group P-6m2 (No. 187)
One atom of each set of equivalent atoms:
Tb  0.0000  0.0000  0.0000 (multiplicity 1)
Ce  0.3333  0.6667  0.3293 (multiplicity 2)
Th  0.0000  0.0000  0.2208 (multiplicity 2)
Th  0.0000  0.0000  0.4379 (multiplicity 2)
Th  0.3333  0.6667  0.1104 (multiplicity 2)

The 8 most intense peaks (2θ = 10–80°), by angle:
2θ = 29.42°, d = 3.036 Å, intensity 52, hkl 1 0 0
2θ = 29.96°, d = 2.982 Å, intensity 57, hkl 0 0 9
2θ = 32.37°, d = 2.766 Å, intensity 74, hkl 1 0 4
2θ = 33.92°, d = 2.643 Å, intensity 100, hkl 1 0 5
2θ = 42.49°, d = 2.127 Å, intensity 37, hkl 1 0 9
2θ = 52.18°, d = 1.753 Å, intensity 39, hkl 1 1 0
2θ = 56.79°, d = 1.621 Å, intensity 32, hkl 1 0 14
2θ = 61.35°, d = 1.511 Å, intensity 47, hkl 1 1 9

---

(3)
This entry pairs a crystal structure of TbCe6Th2 with its computed XRD peak list. Radiation: a wavelength of 1.5418 Å. Structure: the GGA-PBE geometry in Alexandria.
Kinematic intensities with the Lorentz-polarization factor, no thermal factor.

Crystal structure
Lattice parameters (Å, degrees): 9.5491 9.5491 3.4005 90.00 90.00 120.00
Space group P-3 (No. 147)
One atom of each set of equivalent atoms:
Tb  0.0000  0.0000  0.0000 (multiplicity 1)
Ce  0.0205  0.3479  0.7225 (multiplicity 6)
Th  0.3333  0.6667  0.2288 (multiplicity 2)

The 8 most intense peaks (2θ = 10–80°), by angle:
2θ = 28.38°, d = 3.145 Å, intensity 18, hkl 0 1 1
2θ = 32.32°, d = 2.770 Å, intensity 59, hkl 1 1 1
2θ = 32.48°, d = 2.757 Å, intensity 100, hkl 3 0 0
2θ = 34.14°, d = 2.626 Å, intensity 22, hkl 2 0 1
2θ = 39.15°, d = 2.301 Å, intensity 23, hkl 3 -2 1
2θ = 46.48°, d = 1.954 Å, intensity 20, hkl 4 -2 1
2θ = 57.84°, d = 1.594 Å, intensity 20, hkl 4 1 1
2θ = 57.95°, d = 1.592 Å, intensity 18, hkl 3 3 0

---

What is the formula in the third record? TbCe6Th2

* * * * *

For Al3Cd4, a structure optimized by DFT (GGA-PBE) gives the simulated powder X-ray diffraction pattern in this record (copper Kα).

Peak list (8 most intense, 2θ = 15–90°, sorted by position)
(0 0 1), 2θ 15.19, intensity 26
(1 1 0), 2θ 33.10, intensity 88
(1 0 2), 2θ 36.28, intensity 100
(1 1 1), 2θ 36.60, intensity 52
(2 0 1), 2θ 41.52, intensity 16
(2 0 2), 2θ 49.92, intensity 20
(2 1 2), 2θ 61.21, intensity 41
(3 1 2), 2θ 80.97, intensity 18

Crystal structure
Unit cell a=5.4128 b=5.4128 c=5.8318 alpha=90.00 beta=90.00 gamma=120.00
Space group P6/mmm (No. 191)
Inequivalent atoms, fractional coordinates:
=====

This entry pairs a crystal structure of Tb14CeTh with its computed XRD peak list. Radiation: a wavelength of 1.5418 Å. Structure: the GGA-PBE geometry in Alexandria.
This entry pairs a crystal structure of TbCe2Th6 with its computed XRD peak list. Radiation: a wavelength of 1.5418 Å. Structure: the GGA-PBE geometry in Alexandria.
This entry pairs a crystal structure of TbCe6Th2 with its computed XRD peak list. Radiation: a wavelength of 1.5418 Å. Structure: the GGA-PBE geometry in Alexandria.